Wanted >
Next, return all of the rows further below without altering anything.
Listing >
+++
Computed, not measured: a relaxed structure of FeMo3 at the PBE level of DFT.

## Properties
The formation energy is 348 meV/atom. The density of states at the Fermi level is 4.6 states/eV/f.u. The value obtained for the total energy is -9.891 eV/atom.

Cell lengths 2.7424, 9.3077, 2.7424 Å; angles 98.47, 60.00, 98.47 degrees
Fractional coordinates of all 4 atoms:
Fe 0.0000 0.0000 0.0000
Mo 0.2566 0.7698 0.2566
Mo 0.5000 0.5000 0.5000
Mo 0.7434 0.2302 0.7434

Computed, not measured: a relaxed structure of Fe3Mo at the PBE level of DFT.

## Properties
The formation energy is 53 meV/atom. The density of states at the Fermi level is 2.9 states/eV/f.u. The value obtained for the total energy is -9.001 eV/atom.

Cell lengths 2.9069, 2.9069, 5.9446 Å; angles 90.00, 90.00, 90.00 degrees
Fractional coordinates of all 4 atoms:
Mo 0.5000 0.5000 0.7500
Fe 0.0000 0.0000 0.0162
Fe 0.5000 0.5000 0.2500
Fe 0.0000 0.0000 0.4838

Computed, not measured: a relaxed structure of FeMo5 at the PBE level of DFT.

## Properties
The calculation puts the relative energy among the computed polymorphs at 1.468 eV/f.u. The formation energy is 319 meV/atom. The density of states at the Fermi level is 7.1 states/eV/f.u. The value obtained for the total energy is -10.117 eV/atom.

Cell lengths 5.4872, 5.4872, 6.9273 Å; angles 76.49, 76.49, 27.29 degrees
Fractional coordinates of all 6 atoms:
Fe 0.0051 0.0051 0.9905
Mo 0.3385 0.3385 0.3153
Mo 0.6720 0.6720 0.6631
Mo 0.5987 0.5987 0.2784
Mo 0.9426 0.9426 0.6275
Mo 0.2765 0.2765 0.9585

Computed, not measured: a relaxed structure of Fe3Mo at the PBE level of DFT.

## Properties
The formation energy is 62 meV/atom. The density of states at the Fermi level is 2.7 states/eV/f.u. The value obtained for the total energy is -8.992 eV/atom.

Cell lengths 4.0780, 4.8188, 2.9934 Å; angles 71.90, 90.00, 115.03 degrees
Fractional coordinates of all 4 atoms:
Mo 0.7500 0.5000 0.7500
Fe 0.0039 0.0077 0.9961
Fe 0.2500 0.5000 0.2500
Fe 0.4961 0.9923 0.5039

Computed, not measured: a relaxed structure of FeMo3 at the PBE level of DFT.

## Properties
The formation energy is 246 meV/atom. The density of states at the Fermi level is 4.2 states/eV/f.u. The value obtained for the total energy is -9.993 eV/atom.

Cell lengths 5.0477, 8.8937, 5.2446 Å; angles 90.00, 90.00, 90.00 degrees
Fractional coordinates of all 16 atoms:
Mo 0.0030 0.2500 0.8935
Mo 0.4970 0.7500 0.3935
Mo 0.5030 0.2500 0.6065
Mo 0.9970 0.7500 0.1065
Mo 0.2280 0.0258 0.3787
Mo 0.2720 0.9742 0.8787
Mo 0.7280 0.4742 0.1213
Mo 0.7720 0.5258 0.6213
Mo 0.7720 0.9742 0.6213
Mo 0.7280 0.0258 0.1213
Mo 0.2720 0.5258 0.8787
Mo 0.2280 0.4742 0.3787
Fe 0.9393 0.2500 0.3971
Fe 0.5607 0.7500 0.8971
Fe 0.4393 0.2500 0.1029
Fe 0.0607 0.7500 0.6029

Computed, not measured: a relaxed structure of Fe4Mo at the PBE level of DFT.

## Properties
The formation energy is 42 meV/atom. The density of states at the Fermi level is 3.1 states/eV/f.u. The value obtained for the total energy is -8.894 eV/atom.

Cell lengths 7.6104, 7.6104, 7.6104 Å; angles 157.98, 157.98, 31.34 degrees
Fractional coordinates of all 5 atoms:
Fe 0.3927 0.3927 0.0000
Fe 0.7983 0.7983 0.0000
Fe 0.2017 0.2017 0.0000
Fe 0.6073 0.6073 0.0000
Mo 0.0000 0.0000 0.0000

Computed, not measured: a relaxed structure of Fe3Mo4 at the PBE level of DFT.

## Properties
The calculation puts the relative energy among the computed polymorphs at 0.838 eV/f.u. The formation energy is 139 meV/atom. The density of states at the Fermi level is 6.0 states/eV/f.u. The value obtained for the total energy is -9.677 eV/atom.

Cell lengths 10.5247, 10.5247, 10.5247 Å; angles 163.04, 163.04, 24.07 degrees
Fractional coordinates of all 7 atoms:
Fe 0.0000 0.0000 0.0000
Fe 0.7180 0.7180 0.0000
Fe 0.2820 0.2820 0.0000
Mo 0.8530 0.8530 0.0000
Mo 0.1470 0.1470 0.0000
Mo 0.5719 0.5719 0.0000
Mo 0.4281 0.4281 0.0000

Computed, not measured: a relaxed structure of Fe3Mo at the PBE level of DFT.

## Properties
+++
Written answer >
Computed, not measured: a relaxed structure of FeMo3 at the PBE level of DFT.

## Properties
The formation energy is 348 meV/atom. The density of states at the Fermi level is 4.6 states/eV/f.u. The value obtained for the total energy is -9.891 eV/atom.

Cell lengths 2.7424, 9.3077, 2.7424 Å; angles 98.47, 60.00, 98.47 degrees
Fractional coordinates of all 4 atoms:
Fe 0.0000 0.0000 0.0000
Mo 0.2566 0.7698 0.2566
Mo 0.5000 0.5000 0.5000
Mo 0.7434 0.2302 0.7434

Computed, not measured: a relaxed structure of Fe3Mo at the PBE level of DFT.

## Properties
The formation energy is 53 meV/atom. The density of states at the Fermi level is 2.9 states/eV/f.u. The value obtained for the total energy is -9.001 eV/atom.

Cell lengths 2.9069, 2.9069, 5.9446 Å; angles 90.00, 90.00, 90.00 degrees
Fractional coordinates of all 4 atoms:
Mo 0.5000 0.5000 0.7500
Fe 0.0000 0.0000 0.0162
Fe 0.5000 0.5000 0.2500
Fe 0.0000 0.0000 0.4838

Computed, not measured: a relaxed structure of FeMo5 at the PBE level of DFT.

## Properties
The calculation puts the relative energy among the computed polymorphs at 1.468 eV/f.u. The formation energy is 319 meV/atom. The density of states at the Fermi level is 7.1 states/eV/f.u. The value obtained for the total energy is -10.117 eV/atom.

Cell lengths 5.4872, 5.4872, 6.9273 Å; angles 76.49, 76.49, 27.29 degrees
Fractional coordinates of all 6 atoms:
Fe 0.0051 0.0051 0.9905
Mo 0.3385 0.3385 0.3153
Mo 0.6720 0.6720 0.6631
Mo 0.5987 0.5987 0.2784
Mo 0.9426 0.9426 0.6275
Mo 0.2765 0.2765 0.9585

Computed, not measured: a relaxed structure of Fe3Mo at the PBE level of DFT.

## Properties
The formation energy is 62 meV/atom. The density of states at the Fermi level is 2.7 states/eV/f.u. The value obtained for the total energy is -8.992 eV/atom.

Cell lengths 4.0780, 4.8188, 2.9934 Å; angles 71.90, 90.00, 115.03 degrees
Fractional coordinates of all 4 atoms:
Mo 0.7500 0.5000 0.7500
Fe 0.0039 0.0077 0.9961
Fe 0.2500 0.5000 0.2500
Fe 0.4961 0.9923 0.5039

Computed, not measured: a relaxed structure of FeMo3 at the PBE level of DFT.

## Properties
The formation energy is 246 meV/atom. The density of states at the Fermi level is 4.2 states/eV/f.u. The value obtained for the total energy is -9.993 eV/atom.

Cell lengths 5.0477, 8.8937, 5.2446 Å; angles 90.00, 90.00, 90.00 degrees
Fractional coordinates of all 16 atoms:
Mo 0.0030 0.2500 0.8935
Mo 0.4970 0.7500 0.3935
Mo 0.5030 0.2500 0.6065
Mo 0.9970 0.7500 0.1065
Mo 0.2280 0.0258 0.3787
Mo 0.2720 0.9742 0.8787
Mo 0.7280 0.4742 0.1213
Mo 0.7720 0.5258 0.6213
Mo 0.7720 0.9742 0.6213
Mo 0.7280 0.0258 0.1213
Mo 0.2720 0.5258 0.8787
Mo 0.2280 0.4742 0.3787
Fe 0.9393 0.2500 0.3971
Fe 0.5607 0.7500 0.8971
Fe 0.4393 0.2500 0.1029
Fe 0.0607 0.7500 0.6029

Computed, not measured: a relaxed structure of Fe4Mo at the PBE level of DFT.

## Properties
The formation energy is 42 meV/atom. The density of states at the Fermi level is 3.1 states/eV/f.u. The value obtained for the total energy is -8.894 eV/atom.

Cell lengths 7.6104, 7.6104, 7.6104 Å; angles 157.98, 157.98, 31.34 degrees
Fractional coordinates of all 5 atoms:
Fe 0.3927 0.3927 0.0000
Fe 0.7983 0.7983 0.0000
Fe 0.2017 0.2017 0.0000
Fe 0.6073 0.6073 0.0000
Mo 0.0000 0.0000 0.0000

Computed, not measured: a relaxed structure of Fe3Mo4 at the PBE level of DFT.

## Properties
The calculation puts the relative energy among the computed polymorphs at 0.838 eV/f.u. The formation energy is 139 meV/atom. The density of states at the Fermi level is 6.0 states/eV/f.u. The value obtained for the total energy is -9.677 eV/atom.

Cell lengths 10.5247, 10.5247, 10.5247 Å; angles 163.04, 163.04, 24.07 degrees
Fractional coordinates of all 7 atoms:
Fe 0.0000 0.0000 0.0000
Fe 0.7180 0.7180 0.0000
Fe 0.2820 0.2820 0.0000
Mo 0.8530 0.8530 0.0000
Mo 0.1470 0.1470 0.0000
Mo 0.5719 0.5719 0.0000
Mo 0.4281 0.4281 0.0000

Computed, not measured: a relaxed structure of Fe3Mo at the PBE level of DFT.

## Properties